+++
[1]
KInP2O: optimized geometry, PBE.

Calculated values
E above lowest polymorph ... 0.000 eV per atom
E_tot ... -3.659 eV/atom
Formation energy (no corrections) ... 0.26 eV per atom
Spin magnetization ... 2.35 μB per formula unit

Cell lengths 5.3703, 5.3703, 4.3223 Å; angles 90.00, 90.00, 90.00 degrees
Last column: nearest neighbours and their distance in Å.
Space group P4/mmm (No. 123)
Inequivalent atoms, fractional coordinates:
K: 0.0000 0.0000 0.0000  8 P 3.45, 4 O 3.80
In: 0.5000 0.5000 0.5000  2 O 2.16
P: 0.0000 0.5000 0.5000  2 In 2.69
O: 0.5000 0.5000 0.0000  2 In 2.16

=====

[2]
K3InP2O8: optimized geometry, PBE.

Calculated values
E above lowest polymorph ... 0.000 eV per atom
E_tot ... -6.215 eV/atom
Formation energy (no corrections) ... -2.18 eV per atom
Spin magnetization ... 0.05 μB per formula unit

Cell lengths 9.8003, 9.8128, 9.9261 Å; angles 89.17, 89.70, 71.01 degrees
Last column: nearest neighbours and their distance in Å.
Space group P1 (No. 1)
Inequivalent atoms, fractional coordinates:
K: 0.0000 0.0000 0.0000  6 O 2.76-2.92
K: 0.0011 0.4805 0.5532  6 O 2.68-2.97
K: 0.2028 0.6380 0.8353  4 O 2.61-2.85
K: 0.2355 0.2502 0.0283  5 O 2.70-2.80
K: 0.2613 0.7516 0.4627  6 O 2.70-3.00
K: 0.3897 0.4158 0.3380  4 O 2.67-2.84
K: 0.4786 0.8867 0.1265  1 O 2.60
K: 0.5066 0.4893 0.0064  6 O 2.72-2.91
K: 0.5206 0.9920 0.4543  5 O 2.67-2.79
K: 0.5729 0.5836 0.6466  4 O 2.63-2.83
K: 0.7816 0.2109 0.4887  6 O 2.75-2.91
K: 0.7874 0.7286 0.9211  4 O 2.59-2.87
In: 0.1523 0.0932 0.6611  6 O 2.13-2.30
In: 0.6213 0.1280 0.8213  6 O 2.14-2.30
In: 0.8704 0.3725 0.1623  6 O 2.15-2.29
In: 0.8914 0.8395 0.3213  6 O 2.15-2.27
P: 0.0812 0.6057 0.1722  4 O 1.53-1.59
P: 0.1180 0.0683 0.3205  4 O 1.53-1.56
P: 0.3767 0.3152 0.6756  4 O 1.54-1.58
P: 0.3961 0.9061 0.8071  4 O 1.54-1.58
P: 0.6468 0.1479 0.1624  4 O 1.53-1.57
P: 0.6809 0.6080 0.3089  4 O 1.53-1.58
P: 0.8450 0.3400 0.8188  4 O 1.52-1.57
P: 0.9262 0.8768 0.6631  4 O 1.53-1.57
O: 0.0282 0.4788 0.1314  1 P 1.56
O: 0.0476 0.1802 0.2068  1 P 1.56
O: 0.0571 0.9407 0.3094  1 P 1.56
O: 0.0728 0.9096 0.6627  1 P 1.57
O: 0.0754 0.1456 0.4583  1 P 1.56
O: 0.0747 0.6265 0.3306  1 P 1.59
O: 0.2346 0.5749 0.1167  1 P 1.53
O: 0.2460 0.2651 0.6393  1 P 1.56
O: 0.2518 0.0158 0.8643  1 P 1.58
O: 0.2819 0.0066 0.3035  1 P 1.53
O: 0.3488 0.4687 0.6183  1 P 1.54
O: 0.3727 0.9136 0.6499  1 P 1.58
O: 0.4021 0.3080 0.8328  1 P 1.58
O: 0.4248 0.7526 0.8639  1 P 1.54
O: 0.4828 0.1874 0.1775  1 P 1.53
O: 0.5214 0.2059 0.6176  1 P 1.58
O: 0.5271 0.9550 0.8478  1 P 1.57
O: 0.5312 0.6230 0.3668  1 P 1.53
O: 0.6878 0.5895 0.1507  1 P 1.58
O: 0.6891 0.2874 0.1813  1 P 1.57
O: 0.6961 0.3125 0.8112  1 P 1.57
O: 0.7001 0.0758 0.0243  1 P 1.56
O: 0.7177 0.7471 0.3443  1 P 1.57
O: 0.7230 0.0377 0.2756  1 P 1.56
O: 0.7996 0.4682 0.3649  1 P 1.58
O: 0.8156 0.4989 0.7840  1 P 1.52
O: 0.8249 0.9726 0.7714  1 P 1.56
O: 0.8484 0.9162 0.5241  1 P 1.56
O: 0.9152 0.2953 0.9604  1 P 1.56
O: 0.9482 0.2435 0.7121  1 P 1.56
O: 0.9621 0.7173 0.6997  1 P 1.53
O: 0.9713 0.7522 0.1170  1 P 1.58

=====

[3]
K3InP2O8: optimized geometry, PBE.

Calculated values
E above lowest polymorph ... 0.000 eV per atom
E_tot ... -6.215 eV/atom
Formation energy (no corrections) ... -2.18 eV per atom
Spin magnetization ... 0.00 μB per formula unit

Cell lengths 15.9028, 11.4543, 9.8905 Å; angles 90.00, 91.34, 90.00 degrees
Last column: nearest neighbours and their distance in Å.
Space group C2/c (No. 15)
Inequivalent atoms, fractional coordinates:
K: 0.0000 0.1033 0.2500  6 O 2.75-2.85
K: 0.0000 0.3664 0.7500  6 O 2.72-2.86
K: 0.0897 0.3983 0.1011  4 O 2.60-2.83
K: 0.2416 0.1292 0.1912  6 O 2.67-2.94
In: 0.1272 0.1402 0.5796  6 O 2.13-2.29
P: 0.0961 0.1372 0.9236  4 O 1.53-1.57
P: 0.1510 0.3549 0.4348  4 O 1.54-1.58
O: 0.0053 0.1898 0.9334  1 P 1.57
O: 0.0848 0.4430 0.3812  1 P 1.54
O: 0.1051 0.0392 0.0325  1 P 1.56
O: 0.1098 0.0805 0.7827  1 P 1.56
O: 0.1350 0.2283 0.3758  1 P 1.58
O: 0.1455 0.3386 0.5930  1 P 1.58
+++

Please say how many lines of the entries further up hold the word "angles", as a bare number.

3